Romanic Review volume 104 (2013)
García, Santiago Gutiérrez. (2013). Hacia una teoría de la sátira gallegoportuguesa y su posible duplicidad genérica. Romanic Review, 104(1-2), 3-21.
Martin, Carl Grey. (2013). “Bisclavret” and the Subject of Torture. Romanic Review, 104(1-2), 23-43.
Meere, Michael. (2013). Violence, Revenge, and the Stakes of Writing during the French Civil Wars: Simon Belyard’s Le Guysien. Romanic Review, 104(1-2), 45-64.
Call, Michael. (2013). Alceste at the Print Shop: Le Misanthrope’s Response to Molière’s 1666 Œuvres. Romanic Review, 104(1-2), 65-82.
St. Clair, Robert. (2013). Laughing Matter(s): Politics and Poetics of the (Utopian Body) in Rimbaud’s Les Effarés. Romanic Review, 104(1-2), 83-104.
Lukes, Alexandra. (2013). The Asylum of Nonsense: Antonin Artaud’s Translation of Lewis Caroll. Romanic Review, 104(1-2), 105-126.
Ruffel, David. Trans. Maria O'Sullivan. (2013). Pinget Queer. Romanic Review, 104(1-2), 127-145.
DiMauro, Damon. (2013). A Tribute to Winthrop H. Rice. Romanic Review, 104(1-2), 147-161.
Hériché-Pradeau, Sandrine. (2013). Nigel Bryant Woodbridge, trans. Boydell Brewer. The Medieval Romance of Alexander (BOOK REVIEW). Romanic Review, 104(1-2), 163-166.
**Someone pasted molecular data at this point**
=====
# 1
This record from OMol25 describes a structure of composition C2H4N4O2 at a distorted geometry. The level of theory is ωB97M-V/def2-TZVPD.

```
12
Properties=species:S:1:pos:R:3:forces:R:3:mulliken_charge:R:1
C 1.018 0.685 1.357 -0.116 1.233 -0.301 0.01
C -0.396 0.085 0.029 -0.450 -1.082 1.062 0.52
H 0.056 -1.185 -2.020 3.531 -1.443 2.891 0.37
H 1.271 -2.505 -1.094 -1.442 2.948 -1.232 0.29
H 1.700 1.213 1.929 0.727 1.069 1.761 0.44
H -2.017 1.668 -0.133 -2.023 -1.876 -1.102 0.36
N 1.038 -1.443 -1.337 -2.095 -0.153 0.582 -0.62
N 0.711 -0.895 0.012 -3.074 -0.931 -3.113 0.17
N -0.242 0.900 1.188 1.605 -1.041 -1.168 -0.55
N -1.330 0.068 -0.798 -0.229 -1.632 -1.654 -0.42
O 1.708 -0.134 0.579 1.100 0.136 0.358 -0.24
O -2.455 0.857 -0.635 2.466 2.771 1.915 -0.34
```
Forces are in eV/Å.

As for the spin multiplicity: 1. The total charge is 0. The energy relative to the best compared isomer or geometry (same formula, charge and spin) comes out at 5.380 eV.

# 2
This record from OMol25 describes a cluster of 2 separate species, C3H3N2O3 in total at a distorted geometry. The level of theory is ωB97M-V/def2-TZVPD.

```
11
Properties=species:S:1:pos:R:3:forces:R:3:mulliken_charge:R:1
C 2.661 -1.288 0.356 -1.723 -4.168 -0.952 -0.08
C 1.745 1.153 -0.012 -1.796 0.716 -1.131 0.48
C -1.416 -0.626 0.151 0.396 -3.712 0.335 -0.27
N 2.629 0.429 -0.267 1.285 0.269 -0.424 -0.36
N -1.780 0.568 -0.085 2.550 2.888 1.072 0.32
O -2.911 0.966 -0.405 -2.050 0.319 -0.519 -0.70
O 0.747 1.841 0.045 0.234 0.391 0.810 -0.73
O 1.989 -2.045 -0.312 2.013 2.936 1.787 -0.34
H -0.335 -0.973 0.346 -1.898 1.158 -0.295 0.07
H -2.256 -1.434 0.089 1.686 1.663 -0.043 0.25
H -1.073 1.410 0.093 -0.697 -2.461 -0.640 0.34
```
Forces are in eV/Å.

As for the spin multiplicity: 1. The total charge is -1. The energy relative to the best compared isomer or geometry (same formula, charge and spin) comes out at 3.995 eV.

# 3
This record from OMol25 describes a structure of composition C27H30NO3 at a distorted geometry. The level of theory is ωB97M-V/def2-TZVPD.

```
61
Properties=species:S:1:pos:R:3:forces:R:3:mulliken_charge:R:1
C 4.230 3.248 -0.917 0.860 -0.177 0.032 -0.80
C 2.908 2.488 -0.787 0.031 0.787 0.150 -0.68
N 3.020 1.100 -0.393 -2.393 -1.262 -0.347 0.26
C 1.802 0.335 -0.354 1.900 1.054 -0.304 0.59
C 0.601 0.865 -0.804 1.799 1.314 0.674 -0.91
C 2.056 -1.069 0.049 -0.303 -0.685 0.533 -0.22
C 2.112 -2.093 -0.911 0.140 0.183 0.320 0.23
C 2.435 -3.398 -0.522 -0.079 0.355 0.073 -1.03
C 2.688 -3.660 0.832 0.063 -0.500 0.211 -0.54
C 2.587 -2.659 1.805 -0.096 0.482 -0.245 -1.06
C 2.269 -1.354 1.403 -0.063 -0.489 -0.259 0.49
C 4.230 0.619 0.289 0.718 -0.222 0.802 -0.23
C 5.479 1.481 0.018 -0.143 0.445 -0.407 -0.77
O 5.211 2.880 0.045 -0.569 -0.517 -0.257 -0.36
H 4.620 3.090 -1.946 0.031 0.112 0.480 0.36
H 4.086 4.322 -0.735 -0.220 -0.351 -0.350 0.33
H 2.262 3.026 -0.079 -0.049 -0.100 -0.044 0.50
H 2.472 2.556 -1.792 -0.229 -0.095 0.187 0.40
H -0.573 0.818 -0.474 1.366 0.901 0.382 -0.18
=====
Cazes, Hélène. (2013). Jacques Bellot. The French Method. La Méthode française [Susan Baddeley éd. et trad.]; Jean-Pierre Camus. Les Euenemens singuliers; Jérôme Fracastor. Syphilis sive morbus gallicus; Jacques Ferrand. De la maladie d'amour ou mélancolie érotique (BOOK REVIEW). Romanic Review, 104(1-2), 166-169.
Paige, Nicholas. (2013). Eric R. Koch. The Aesthetic Body: Passion, Sensibility, and Corporeality in Seventeenth-Century France (BOOK REVIEW). Romanic Review, 104(1-2), 170-172.
Mesch, Rachel. (2013). Nicholas White. French Divorce Fiction from the Revolution to the First World War. (BOOK REVIEW). Romanic Review, 104(1-2), 172-174.
Weiss, Jonathan. (2013). Bracher, Nathan. After the Fall: War and Occupation in Irène Némirovsky’s Suite française. (BOOK REVIEW). Romanic Review, 104(1-2), 174-176.
Hochman, Hugh. (2013). Madeline Pampel. Francis Ponge et Eugène de Kermadec, histoire d'un compagnonnage. (BOOK REVIEW). Romanic Review, 104(1-2), 177-179.
Dobie, Madeleine and Emmanuelle Saada. (2013). Introduction. Romanic Review, 104(3-4), 183-187.
Miller, Christopher L. (2013). History, Horror, and Pleasure in Haiti and Africa. Romanic Review, 104(3-4), 189-197.
Garraway, Doris L. (2013). Toward a Literary Psychoanalysis of Postcolonial Haiti: Desire, Violence, and the Mimetic Crisis in Marie Chauvet's Amour. Romanic Review, 104(3-4), 199-222.
Spivak, Gayatri. (2013). Postcolonialism in France. Romanic Review, 104(3-4), 223-242.
Djerbal, Daho. (2013). History Writing as Cultural and Political Critique, or The Difficulty of Writing the History of a (De)Colonized Society. Romanic Review, 104(3-4), 243-251.
Strouse, A.W. (2013). Misogynists as Queers in Le Livre de la Cité des Dames. Romanic Review, 104(3-4), 253-274.
Hock, Jessie. (2013). Waging Loving War: Lucretius and the Poetry of Remy Belleau. Romanic Review, 104(3-4), 275-292.
Leveau, Eric. (2013). La Réception d'Erasme dans Les Caractères de La Bruyère. Romanic Review, 104(3-4), 293-311.
Wyngaard, Amy S. (2013). Translating Sade: The Grove Press Editions, 1953-1968. Romanic Review, 104(3-4), 313-331.
Earle, Jason. (2013). Les Deux Cents Familles: A Conspiracy Theory of the Avant-Garde. Romanic Review, 104(3-4), 333-352.
Debaene, Vincent. (2013). Les Ecrivains contre l'ethnologie ? Ethnographie, ethnologie et littérature d'Afrique et des Antilles, 1921-1948. Romanic Review, 104(3-4), 353-374.
Jacobs, Jason. (2013). Sunderland, Luke. Old French Narrative Cycles: Heroism between Ethics and Morality. (BOOK REVIEW). Romanic Review, 104(3-4), 375-378.
Gaggero, Massimiliano. (2013). Hinton, Thomas. The Conte du Graal Cycle : Chrétien de Troyes's Perceval, the Continuations, and French Arthurian Romance. (BOOK REVIEW). Romanic Review, 104(3-4), 378-383.
Usher, Phillip John. (2013). Rouget, François. Ronsard et le livre (II) : Etude de critique génétique et d'histoire littéraire. (BOOK REVIEW). Romanic Review, 104(3-4), 383-387.
Usher, Phillip John. (2013). Mackenzie, Louisa. The Poetry of Place: Lyric, Landscape and Ideology in Renaissance France. (BOOK REVIEW). Romanic Review, 104(3-4), 387-388.
Laporta, Kathrina A. (2013). Paige, Nicholas D. Before Fiction: The Ancien Régime of the Novel. (BOOK REVIEW). Romanic Review, 104(3-4), 389-392.
Laporta, Kathrina A. (2013). Tribout, Bruno. Les récits de conjuration sous Louis XIV. (BOOK REVIEW). Romanic Review, 104(3-4), 392-395.
Samuels, Maurice. (2013). Chaouat, Bruno. L'Ombre pour la proie: Petites Apocalypses de la vie quotidienne. (BOOK REVIEW). Romanic Review, 104(3-4), 395-396.
Bibliography by Anna Provitola